Movie review: ‘Hell or High Water’ a stark look at America’s economic climate
–The past few years have been rough from an economic standpoint. We’ve had more than a couple movies that have looked at how the housing bubble burst, and that have forewarned that the hard times might not be over. We even have a TV series — “Mr. Robot” — that, among other things, attacks the foundation of our economy.
Into that fray comes “Hell or High Water.” It’s a heist movie, yes. It’s a buddy cop movie, yes. But it’s also a movie that takes a hard look at the economic climate, and the way it drives people to a certain kind of response.
Last year one of the most striking films I saw was “Sicario,” from writer Taylor Sheridan. He is back with “Hell or High Water,” this time turning his knack for sparse dialogue and action sequences to a different kind of losing battle.
“Hell or High Water” is set in Texas, where times are tough and signs offering to buy out under water property and bail out debt-ridden individuals is everywhere. Toby (Chris Pine) and Tanner (Ben Foster) could certainly use the help, but they’re not turning to the bank.
After their mother passed, Toby and Tanner saw the family farm about to go back to the bank thanks to a reverse mortgage that helped pay the medical bills. Tanner — recently out of prison — has few prospects. Toby wants something to leave his children, especially with the discovery of oil — and a potential pay day — on the family property.
But how to save it from the bank? The brothers decide to go on a bank robbery spree, hitting branches of the same bank and using the proceeds to save the family farm. Their quick hitting style, and small totals during each job, keep the crimes from drawing the attention of the federal authorities.

Movie Review by Matthew Fox
But it does go to the Texas Rangers, where Marcus Hamilton (Jeff Bridges) is days away from retirement. But he decides to track down these thieves with his partner, Alberto (Gil Bermingham), with whom he has a unique back-and-forth relationship.
## Between two parts of the entry: crystal structures
# LaFeSi2 (GGA-PBE, relaxed)
data_LaFeSi2
_cell_length_a 8.799
_cell_length_b 8.799
_cell_length_c 4.056
_cell_angle_alpha 90.00
_cell_angle_beta 90.00
_cell_angle_gamma 152.63
_space_group_name_H-M_alt 'P 1'
_space_group_IT_number 1
_space_group_name_Hall 'P 1'
loop_
_atom_site_label
_atom_site_type_symbol
_atom_site_fract_x
_atom_site_fract_y
_atom_site_fract_z
La1 La 0.108 0.892 0.750
La2 La 0.892 0.108 0.250
Fe1 Fe 0.250 0.750 0.250
Fe2 Fe 0.750 0.250 0.750
Si1 Si 0.310 0.690 0.750
Si2 Si 0.463 0.537 0.750
Si3 Si 0.537 0.463 0.250
Si4 Si 0.690 0.310 0.250
# Electronic total energy, eV per atom: -6.72

# LaFeSi (GGA-PBE, relaxed)
data_LaFeSi
_cell_length_a 4.101
_cell_length_b 4.101
_cell_length_c 7.180
_cell_angle_alpha 90.00
_cell_angle_beta 90.00
_cell_angle_gamma 90.00
_space_group_name_H-M_alt 'P 1'
_space_group_IT_number 1
_space_group_name_Hall 'P 1'
loop_
_atom_site_label
_atom_site_type_symbol
_atom_site_fract_x
_atom_site_fract_y
_atom_site_fract_z
La1 La 0.250 0.250 0.192
La2 La 0.750 0.750 0.808
Fe1 Fe 0.250 0.750 0.500
Fe2 Fe 0.750 0.250 0.500
Si1 Si 0.250 0.250 0.655
Si2 Si 0.750 0.750 0.345
# Electronic total energy, eV per atom: -6.86

# Li3Fe (GGA-PBE, relaxed)
data_Li3Fe
_cell_length_a 5.574
_cell_length_b 5.574
_cell_length_c 4.560
_cell_angle_alpha 90.00
_cell_angle_beta 90.00
_cell_angle_gamma 120.00
_space_group_name_H-M_alt 'P 1'
_space_group_IT_number 1
_space_group_name_Hall 'P 1'
loop_
_atom_site_label
_atom_site_type_symbol
_atom_site_fract_x
_atom_site_fract_y
_atom_site_fract_z
Li1 Li 0.173 0.346 0.250
Li2 Li 0.173 0.827 0.250
Li3 Li 0.346 0.173 0.750
Li4 Li 0.654 0.827 0.250
Li5 Li 0.827 0.173 0.750
Li6 Li 0.827 0.654 0.750
Fe1 Fe 0.333 0.667 0.750
Fe2 Fe 0.667 0.333 0.250
# Total moment, μB per formula unit: 2.40
# Electronic total energy, eV per atom: -3.14

# LiFe (GGA-PBE, relaxed)
data_LiFe
_cell_length_a 4.681
_cell_length_b 4.681
_cell_length_c 4.560
_cell_angle_alpha 90.00
_cell_angle_beta 90.00
_cell_angle_gamma 150.59
_space_group_name_H-M_alt 'P 1'
_space_group_IT_number 1
_space_group_name_Hall 'P 1'
loop_
_atom_site_label
_atom_site_type_symbol
_atom_site_fract_x
_atom_site_fract_y
_atom_site_fract_z
Li1 Li 0.000 0.000 0.000
Li2 Li 0.000 0.000 0.500
Fe1 Fe 0.257 0.743 0.750
Fe2 Fe 0.743 0.257 0.250
# Total moment, μB per formula unit: 2.04
# Electronic total energy, eV per atom: -4.91

# LiMg6Fe (GGA-PBE, relaxed)
data_LiMg6Fe
_cell_length_a 4.912
_cell_length_b 6.057
_cell_length_c 6.057
_cell_angle_alpha 62.30
_cell_angle_beta 90.00
_cell_angle_gamma 90.00
_space_group_name_H-M_alt 'P 1'
_space_group_IT_number 1
_space_group_name_Hall 'P 1'
loop_
_atom_site_label
_atom_site_type_symbol
_atom_site_fract_x
_atom_site_fract_y
_atom_site_fract_z
Li1 Li 0.000 0.000 0.000
Mg1 Mg 0.000 0.003 0.471
Mg2 Mg 0.000 0.471 0.003
Mg3 Mg 0.000 0.493 0.493
Mg4 Mg 0.500 0.166 0.680
Mg5 Mg 0.500 0.671 0.671
Mg6 Mg 0.500 0.680 0.166
Fe1 Fe 0.500 0.178 0.178
# Total moment, μB per formula unit: 2.61
As Toby and Tanner race against the clock to raise the capital to save the family farm, Marcus and Alberto try to figure out where they will strike next and cut off their plan.
Director David McKenzie doesn’t have a long cinematic resume. But he has a feel for this story and these characters. He gets a lot out of his performers, and maximizes the slice of life offered by Sheridan.
“Hell or High Water” was a festival darling in the winter and has been a surprise hit at the Box Office as the summer draws to a close. It’s drawn rave reviews and even comparisons to “No Country For Old Men.” I don’t think it’s quite on that level, but it’s entertaining, gripping and asks some serious questions about where we’re headed as a country.
The film could be seen as endorsing this type of criminal behavior, but I don’t think that’s the point. I think it’s merely making a commentary about the economic desperation of a large swath of Americans in service of telling and interesting story about brothers, redemption, second chances and missed opportunities.
Bridges — an Academy Award winner — channels something similar to the wily bounty hunter he played in “True Grit.” He’s a talented actor that brings a lot of depth to the part. He has a beautiful rapport with Bermingham, who shines in this supporting role, too.
But the real hard work is done by Pine and Foster. Pine is best known for his work as Captain Kirk in Star Trek, but he offers a very different kind of character and performance in this. Foster, meanwhile, sinks into this role and does some fine work as the daredevil and crazy brother, but one who opines the wrong choices he’s made in his life. It’s a performance that’s led to some Academy Award buzz, so it will be interesting to see how that carries forward.
“Hell or High Water” isn’t a fast, action-paced film. It’s a slow burn and more of a character piece. But it’s well put together and a slice of life that chronicles the struggles of many Americans in 2016, and that alone makes it worthy of consideration.
“Hell or High Water” has been rated R by the Motion Picture Association of America for some strong violence, language throughout and brief sexuality. Enter with caution.
Three stars out of four.